Don't Wake Me Up.


“Tom, are you awake?”

My shoulder feels like it’s stitched to the sofa and my eyelids are practically one glazed over hunk of skin. I can taste some cocktail of gin and thickened saliva on my teeth, and my nostrils are home to smoky wisps from someone’s fags. James’ stubby fingers leave an imprint either side of my jaw, trying to shake my brain into action, and I slap them away with a grunt sieved through lethargy.

“Hm… what?”

“Is - what Dougie said earlier, is it true?”

My muscles freeze. There’s silence in the room apart from one set of lungs next to me, and I don’t want to open my eyes and face having to answer James’ question.

Inserted here: molecular data:
Entry 1:
Here is the molecule C24H34N4O from the OMol25 dataset. Energies are from ωB97M-V/def2-TZVPD.

Energy above the lowest of the compared OMol25 structures with the same formula, charge and spin (eV): 1.031
Multiplicity: 1
Maximum force (hartree/bohr): 0.01550

```
63
C24H34N4O, DFT ωB97M-V/def2-TZVPD
C 1.37788 -5.28368 2.44628
C 0.32360 -6.07833 1.72356
C 0.08208 -5.95470 0.42383
C 0.80758 -5.06152 -0.53296
H 1.41529 -4.33354 0.00138
H 1.49248 -5.68654 -1.11875
C -0.11579 -4.34612 -1.52642
H 0.51010 -3.90806 -2.30957
H -0.76218 -5.08748 -2.00287
C -1.00027 -3.23127 -0.95033
C -2.09728 -3.75163 -0.02774
H -2.69132 -2.91299 0.32598
H -1.66824 -4.26326 0.82892
H -2.74764 -4.44530 -0.55585
C -0.17384 -2.16046 -0.22309
N -0.98686 -0.98261 0.03630
C -0.72232 -0.31897 1.29507
C 0.58850 0.47767 1.30145
H 0.72294 0.97229 2.26352
H 1.43801 -0.18477 1.13351
C 0.53600 1.52031 0.18775
N 1.78678 2.24704 0.12165
C 2.02382 3.51423 -0.28647
C 3.39743 3.68832 -0.29880
C 3.90418 2.45864 0.12554
N 2.92811 1.60718 0.36717
H 4.92595 2.16647 0.26378
H 3.93815 4.57304 -0.56672
N 1.06938 4.45558 -0.68409
C -0.08648 4.81239 -0.05099
O -0.55361 4.20968 0.89423
C -0.76671 5.99400 -0.65634
C -0.07228 7.08570 -1.16951
C -0.76417 8.16644 -1.68658
C -2.14918 8.16617 -1.70108
C -2.84603 7.08888 -1.17867
C -2.15865 6.01266 -0.65038
H -2.68506 5.17093 -0.22633
H -3.92569 7.09132 -1.17813
H -2.68373 9.01060 -2.10989
H -0.21976 9.01417 -2.07571
H 1.00831 7.11943 -1.13650
H 1.40513 5.08558 -1.39908
C 0.26485 0.82729 -1.15073
C -1.01158 -0.02265 -1.04547
H -1.86518 0.64242 -0.87563
H -1.17866 -0.55363 -1.98459
H 1.12012 0.19381 -1.39643
H 0.14901 1.56607 -1.94696
H -0.26098 2.23578 0.40739
H -1.55531 0.36632 1.48570
H -0.71422 -1.06748 2.08996
H 0.72402 -1.92889 -0.81430
H 0.15091 -2.56393 0.73687
H -1.49030 -2.74865 -1.80431
H -0.68480 -6.57017 -0.02930
C -0.45476 -7.03333 2.57954
H 0.21619 -7.75655 3.04333
H -0.96432 -6.49410 3.37852
H -1.19692 -7.57188 1.99571
H 2.36762 -5.49869 2.04542
H 1.20141 -4.21348 2.34235
H 1.37830 -5.52573 3.50588
```

***

Entry 2:
Here is the molecule C24H34N4O2 from the OMol25 dataset. Energies are from ωB97M-V/def2-TZVPD.

Energy above the lowest of the compared OMol25 structures with the same formula, charge and spin (eV): 2.352
Multiplicity: 1
Maximum force (hartree/bohr): 0.01566

```
64
C24H34N4O2, DFT ωB97M-V/def2-TZVPD
C -2.83532 -2.42977 1.62072
H -3.45607 -2.20297 0.74900
O -2.88684 -1.39601 2.57724
C -4.07550 -1.11440 3.20571
C -5.25479 -1.77696 2.88287
C -6.44099 -1.48226 3.53129
C -6.47036 -0.51964 4.52302
C -5.30344 0.14009 4.84922
C -4.09421 -0.12786 4.20986
C -2.93991 0.69100 4.69984
O -3.04361 1.40886 5.67428
N -1.79357 0.59292 3.96881
C -0.61773 1.27212 4.22809
C -0.28381 2.21024 5.18532
C 1.05025 2.52475 4.90303
N 1.50051 1.84400 3.86880
N 0.48747 1.07174 3.46245
C 0.61256 0.21566 2.30723
C 2.07685 -0.12597 2.05006
C 2.19522 -0.98723 0.79732
N 1.66027 -0.28328 -0.35282
C 0.25152 -0.00612 -0.16062
C 0.04852 0.89299 1.05423
Back to the text:

“Don’t worry, everyone else has gone to bed,” he continues, and I assume the small party we had to celebrate the release of Five Colours In Her Hair has died. “I’m just - just curious…”

I can feel the blood racing through each vessel in my face to surface at my cheeks, and scrunch up my eyes in a mock-stupor, just to put off answering his question. I fucking hate truth-or-dare. If only Matt had challenged Dougie to run naked down the street or something instead of making him spill someone else’s secret, I wouldn’t be in this mess.

“I know you’re awake,” he presses, and I can practically hear the smirk on his breath, that nosiness painted on his wide grin.

“No thanks to you, Bourne,” I cough, still refusing to open my eyes. I bury my head into a pillow, as if the lump of feathers and silk will magically make the finger poking my dimple disappear. I slap him away again.

“C’mon, Fletcher, be a man. There’s nothing to be ashamed of. It’s, um, perfectly common at the age of eighteen…”

The thing about James is that you will never get a serious answer out of him. Every single comment he makes is laced with either toilet-humour or sarcasm - and even though he’s provoking me, I still don’t face him. “Bugger off. Stop taking the piss.”

### The page is interrupted by molecular data
........
Entry from the OMol25 dataset: a structure of composition C21H18N3OPtS4Sb (ωB97M-V/def2-TZVPD).

Values from the calculation:
LUMO energy: -0.00757 Eh
maximum force: 0.70 eV/Å
orbital gap: 6.210 eV
molar mass: 773.501 g/mol

Cartesian coordinates (Å):
Pt: 0.22 -0.21 -0.44
C: 2.99 -1.96 -0.26
C: 2.53 -1.47 1.08
C: 3.37 -1.66 2.19
C: 2.95 -1.29 3.44
C: 1.67 -0.76 3.58
C: 0.88 -0.57 2.46
N: 1.33 -0.89 1.22
Sb: -1.15 0.03 2.88
C: -2.04 -1.14 1.30
C: -3.25 -1.72 1.62
C: -3.84 -2.62 0.74
C: -3.16 -2.95 -0.40
C: -1.93 -2.36 -0.68
C: -1.18 -2.79 -1.90
N: -1.41 -1.43 0.14
C: -1.29 2.08 2.22
C: -1.85 2.93 3.17
C: -1.98 4.27 2.84
C: -1.56 4.69 1.60
C: -1.00 3.77 0.71
C: -0.53 4.18 -0.65
N: -0.88 2.48 1.03
H: 3.40 -2.96 -0.16
H: 2.17 -1.96 -0.97
H: 3.76 -1.30 -0.66
H: 4.34 -2.12 2.03
H: 3.59 -1.42 4.30
H: 1.28 -0.51 4.56
H: -3.73 -1.48 2.57
H: -4.80 -3.07 0.97
H: -3.55 -3.68 -1.10
H: -1.17 -3.88 -1.95
H: -1.66 -2.41 -2.80
H: -0.16 -2.42 -1.89
H: -2.17 2.56 4.13
H: -2.41 4.97 3.55
H: -1.64 5.73 1.31
H: -0.68 5.25 -0.81
H: 0.52 3.94 -0.76
H: -1.07 3.63 -1.41
O: 1.26 4.33 -5.41
C: 1.10 3.49 -4.57
S: -0.42 2.59 -4.36
C: 0.07 1.72 -2.92
C: 1.29 1.97 -2.43
S: 1.90 1.27 -0.95
S: 2.27 3.15 -3.28
S: -1.06 0.65 -2.14

----------

{
  "formula": "C2H6N2OS",
  "method": "ωB97M-V/def2-TZVPD",
  "elements": ["C", "C", "N", "S", "N", "O", "H", "H", "H", "H", "H", "H"],
  "coordinates": [[-1.23, -1.13, 0.49], [-0.21, -0.09, 0.08], [-0.57, 1.13, -0.03], [0.45, 2.44, -0.17], [1.07, -0.67, -0.10], [1.90, 0.12, -0.93], [-1.20, -1.26, 1.57], [-2.23, -0.69, 0.12], [-0.94, -2.08, -0.07], [-0.64, 3.27, -0.11], [1.11, -1.58, -0.53], [2.50, 0.56, -0.31]],
  "nbo_charge": [-0.656, 0.394, -0.645, 0.172, -0.354, -0.563, 0.235, 0.252, 0.204, 0.117, 0.372, 0.473],
  "orbital_gap_ev": 9.0,
  "e_tot_ha": -662.653870,
  "smiles": "C/C(=N/S)NO",
  "e_above_lowest_kcal_mol": 70.9
}

***

{
  "formula": "C25H35Br34ClN3O2",
  "method": "ωB97M-V/def2-TZVPD",
  "elements": ["C", "C", "C", "Br", "C", "C", "N", "C", "C", "C", "N", "C", "C", "C", "C", "C", "O", "C", "O", "N", "Cl", "H", "H", "H", "H", "H", "H", "H", "H", "H", "H", "H", "H", "H", "H", "H", "H", "H", "H", "H", "H", "H", "H", "H", "H", "C", "Br", "Br", "Br", "H", "C", "Br", "Br", "Br", "H", "C", "Br", "Br", "Br", "H", "C", "Br", "Br", "Br", "H", "C", "Br", "Br", "Br", "H", "C", "Br", "Br", "Br", "H", "C", "Br", "Br", "Br", "H", "C", "Br", "Br", "Br", "H", "C", "Br", "Br", "Br", "H", "C", "Br", "Br", "Br", "H", "C", "Br", "Br", "Br", "H"],
........

He laughs again, breaking the silence with that devious chuckle that could belong to a ten year old. “Tom, nobody cares. It’s fine.”

“Then why do you want to know?”

He sighs, and I feel a soft breeze on my face. Maybe it’s because I’m so tired, but I didn’t realise he was that close. “Just do. Like I said, I was curious, and…”

I freeze, and my hand clutching the cushion has iced up. I really don’t want to face his mocking expression, but I can smell vodka on him and feel the steady rhythm of his breath on my temple. “And?”

“And… you know how I get when I’m curious…”

I finally find the strength to twist my head to the side, and my vision is blocked by a pair of startling turquoise eyes looming at me in the dark, slightly bloodshot from booze – but before I can blink they’re gone and two fierce, plump lips are smothering my own. My eyelids fly open fully and my muscles seize up, heart leaping around embarrassingly in my ribcage as it sends all the blood in my body to my head. What the hell is he doing? I twist my hand up, ready to push him off as our teeth clink together awkwardly and he chuckles – but the vibrations of his voice box reverberate through my lips and into my head and down my whole spine. It actually feels… quite nice. Weird, but nice. I almost jump as his tongue plants a new wetness on my bottom lip and in a panicked response I squeeze my lips together, at a total loss for what to do with myself, and he gives a mixture between a sigh and a moan. Oh god.

I can feel those fingers again; this time they’re in my hair and the clink of the beads on his wrist is a warning bell in my ear. All the gas in my lungs rushes out of my nose and my heart could do with a defibrillator right about now – but suddenly his lips are gone. Still hovering close, there’s a humid pocket of air between my face and his and I dare to open one trembling eyelid – he’s smirking, of course he is. But it’s not the usual kind of dastardly, boyish grin I’m accustomed to, and I think my body’s going to fall apart from the earthquake it’s seized with.

“They can’t say you’ve never been kissed now, Fletcher.”

Someone pasted records of molecules at this point >
<<<
Entry 1:
>>>

I throw my cushion at him, and he licks his lips. Fucker.
♠ ♠ ♠
Because Star Girl loves Future Girl.